Professor Tur:

Hello, My name is Professor Tur. I spent the day looking for Tom. Sometimes he wanders off and no one can find him. In my case, I was looking for him to help me with a special assignment.

I am probably one of the most fortunate scientists in all of heaven. I was assigned this portion of the Milky Way Galaxy which includes the planet Earth. Shortly after my assignment, I came here to her moon and noticed that her moon rotates in such a way that the same side of her always faces the planet. So, I built this observatory. That was sure a long time ago. Now I employ over a thousand scientists just to keep up with all the discoveries.

Anyway, there she is: always in the same place directly above us. She is a beauty isn’t she, the Emerald Planet. All green with just a few spots of blue here and there.

I built this observatory back in the day when we were allowed to visit the planet any time we wanted. It did not take long to gather so much information that the scientific branch of the Heavenly News Network joined us to broadcast our findings to all of the universe and all the heavens.

But work slowed after Adam rebelled. Lucifer took over the management of the planet which had belonged to Adam and his decedents. We no longer had easy access to the planet. Then, after El placed the ban on the planet research became very difficult, indeed.

Attached: crystal structures
____________
1.
Entry from Alexandria via LeMat-Bulk: Ta2CdRe2 after structural relaxation (GGA-PBE).

a = 7.7267 Å, b = 7.7267 Å, c = 3.0595 Å
α = 90.00°, β = 90.00°, γ = 90.00°
Last column: nearest neighbours and their distance in Å.
Fractional positions:
Re: 0.3560 0.8560 0.0000  6 Ta 2.72-2.74, 2 Cd 2.97
Re: 0.8560 0.6440 0.0000  6 Ta 2.72-2.74, 2 Cd 2.97
Re: 0.6440 0.1440 0.0000  6 Ta 2.72-2.74, 2 Cd 2.97
Re: 0.1440 0.3560 0.0000  6 Ta 2.72-2.74, 2 Cd 2.97
Cd: 0.0000 0.0000 0.0000  4 Re 2.97, 2 Cd 3.06, 8 Ta 3.32
Cd: 0.5000 0.5000 0.0000  4 Re 2.97, 2 Cd 3.06, 8 Ta 3.32
Ta: 0.1503 0.6503 0.5000  6 Re 2.72-2.74
Ta: 0.6503 0.8497 0.5000  6 Re 2.72-2.74
Ta: 0.8497 0.3497 0.5000  6 Re 2.72-2.74
Ta: 0.3497 0.1503 0.5000  6 Re 2.72-2.74

## Properties
* SG: No. 127
* ρ: 15.39 g/cm3
* energy: -96.4 eV for the cell shown

2.
Entry from Alexandria via LeMat-Bulk: TaCd2Re after structural relaxation (GGA-PBE).

a = 7.7034 Å, b = 7.7034 Å, c = 6.0773 Å
α = 50.67°, β = 50.67°, γ = 90.00°
Last column: nearest neighbours and their distance in Å.
Fractional positions:
Re: 0.0000 0.0000 0.0000  2 Ta 2.69, 4 Cd 2.74
Re: 0.7500 0.2500 0.5000  2 Ta 2.69, 4 Cd 2.74
Cd: 0.6368 0.1250 0.2500  2 Cd 2.70, 2 Re 2.74, 2 Ta 2.87
Cd: 0.1132 0.6250 0.2500  2 Cd 2.70, 2 Re 2.74, 2 Ta 2.87
Cd: 0.3750 0.3632 0.7500  2 Cd 2.70, 2 Re 2.74, 2 Ta 2.87
Cd: 0.8750 0.8868 0.7500  2 Cd 2.70, 2 Re 2.74, 2 Ta 2.87
Ta: 0.5000 0.5000 0.0000  2 Re 2.69, 4 Cd 2.87
Ta: 0.2500 0.7500 0.5000  2 Re 2.69, 4 Cd 2.87

## Properties
* SG: No. 122
* ρ: 12.29 g/cm3
* energy: -43.2 eV for the cell shown

3.
Entry from Alexandria via LeMat-Bulk: Ta2CdRe after structural relaxation (GGA-PBE).

a = 5.6953 Å, b = 5.3848 Å, c = 2.7752 Å
α = 82.11°, β = 76.83°, γ = 118.04°
Last column: nearest neighbours and their distance in Å.
Fractional positions:
Re: 0.5000 0.5000 0.0000  2 Re 2.78, 4 Ta 2.85, 2 Cd 2.87
Cd: 0.0000 0.5000 0.5000  2 Cd 2.78, 4 Ta 2.85, 2 Re 2.87
Ta: 0.0000 0.0000 0.0000  4 Ta 2.78-2.87, 2 Re 2.85, 2 Cd 2.85
Ta: 0.5000 0.0000 0.5000  4 Ta 2.78-2.87, 2 Cd 2.85, 2 Re 2.85

## Properties
* SG: No. 12
* ρ: 15.64 g/cm3
* energy: -36.1 eV for the cell shown

4.
Entry from Alexandria via LeMat-Bulk: TaCdRe2 after structural relaxation (GGA-PBE).

a = 4.9952 Å, b = 4.9952 Å, c = 4.9952 Å
α = 132.47°, β = 132.47°, γ = 69.49°
Last column: nearest neighbours and their distance in Å.
Fractional positions:
Re: 0.0000 0.0000 0.0000  4 Ta 2.85, 4 Cd 2.87, 4 Re 2.87
Re: 0.2500 0.7500 0.5000  4 Cd 2.85, 4 Ta 2.87, 4 Re 2.87
Cd: 0.7500 0.2500 0.5000  8 Re 2.85-2.87, 4 Ta 2.87
Ta: 0.5000 0.5000 0.0000  8 Re 2.85-2.87, 4 Cd 2.87

## Properties
* SG: No. 119
* ρ: 16.62 g/cm3
* energy: -36.0 eV for the cell shown

5.
Entry from Alexandria via LeMat-Bulk: TaCd2Re after structural relaxation (GGA-PBE).

a = 5.6346 Å, b = 5.6346 Å, c = 2.7942 Å
α = 81.48°, β = 81.48°, γ = 120.95°
Last column: nearest neighbours and their distance in Å.
Fractional positions:
Re: 0.5000 0.0000 0.5000  2 Ta 2.78, 2 Re 2.79, 4 Cd 2.95
____________

Nevertheless, our task is to discover and categorize as much information as we can about this planet — before the planet is gone. When El promises to do something, you can rest assured that it will be done and He promised to send a mabbul to destroy the earth. The only question is how will He do it?

Our Job is to investigate and inform all the heavens of the wonderful things El made. I was there when El created time, The elements, electromagnetism, gravity, the universe, plant life, sea life, animal life and mankind. We spent over sixteen hundred years learning the secrets of creation as best we could, Unfortunately, El created everything with such intricacies and infinite detail that many of the secrets of life are still not understood.

For example, we still do not understand electromagnetism, or gravity, and we definitely cannot control time. In fact, Nakar and I spent an entire interview session one time discussing evidence that the speed of light is slowing down. But it was too difficult a read so the chapter was deleted. I still have it here, somewhere. When I find it, I will place it in the deleted chapters section of this site.

Some people think I still get too technical. But how am I suppose to explain wind without the Bernoulli principle; or the characteristics of pressurized water without a discussion of “flash”? If I am talking about why the crust broke in the first place, I need to discuss Fatigue, tensile strength and elasticity. I try to keep it simple. Nakar helps with the explanations when I do get too technical.

God is the God of science. Scientific laws are consistent and reliable because He is constant and reliable. All the great scientists became great when they discovered the obvious truths and laws that God uses to govern nature.

I suppose, however, I should discuss the current events.

I was given a special assignment to explain some of our discoveries and how we think the mabbul or flood might take place. The first thing I need to explain is what the world might have looked like before the flood according to the hydroplate theory.

You see, Earth did not look at all like it does now. It had a continuous crust about ten miles thick with a thin layer of pressurized water between the crust and mantle. It had no oceans like we have today. instead maybe small seas scattered here and there.

The mountains which you know now, did not exist then. The world was smooth like the great planes, only everywhere. The mountains and topography we know today is the result of a great disaster. Its like if you were to drive a brand new car out of a showroom: everything is smooth, there are no nicks or scratches. But then, after you wrap it around a tree somewhere, new and exciting bulges, rifts and valleys appear.

That is how it was with the crust. At first the crust was broken into several large pieces. Then the pieces moved, and when they collided with each other, great mountains and volcanoes occurred.

Now, if you will excuse me, I have some matters which need my attention.